# File
/*
Diffraction record for LaPr2GaI3. The PXRD pattern is calculated, not measured: it uses a structure optimized by DFT (GGA-PBE) and Cu Kα (weighted mean of Kα1 and Kα2).
Intensities are scaled so that the largest is 1000.

Largest 10 diffraction maxima, by angle, 2θ = 10–90°:
2θ = 19.82°, rel. 232
2θ = 28.17°, rel. 1000
2θ = 34.68°, rel. 112
2θ = 40.26°, rel. 761
2θ = 49.86°, rel. 272
2θ = 54.17°, rel. 62
2θ = 58.26°, rel. 127
2θ = 65.94°, rel. 349
2θ = 73.19°, rel. 258
2θ = 87.00°, rel. 84

Structure:
a b c (Å): 6.333 6.333 6.340
angles (deg): 90.00 90.00 90.00
Positions (direct):
La: 0.000 0.000 0.000
Pr: 0.000 0.500 0.500
Pr: 0.500 0.000 0.500
Ga: 0.000 0.000 0.500
I: 0.000 0.500 0.000
*/

# Assignment
What is needed: give back the data earlier on from the line with "58.26°, rel." to the end character by character.

# Solution
2θ = 58.26°, rel. 127
2θ = 65.94°, rel. 349
2θ = 73.19°, rel. 258
2θ = 87.00°, rel. 84

Structure:
a b c (Å): 6.333 6.333 6.340
angles (deg): 90.00 90.00 90.00
Positions (direct):
La: 0.000 0.000 0.000
Pr: 0.000 0.500 0.500
Pr: 0.500 0.000 0.500
Ga: 0.000 0.000 0.500
I: 0.000 0.500 0.000